Wanted.
Please restate everything below unchanged.
Data.
Entry 1:
DFT (GGA-PBE) results for crystalline SiP2W at its relaxed geometry. Values from VASP.

Quantum ESPRESSO input file:
```
&SYSTEM
  ibrav = 0, nat = 4, ntyp = 3
/
ATOMIC_SPECIES
P 30.97 P.upf
Si 28.09 Si.upf
W 183.84 W.upf
ATOMIC_POSITIONS angstrom
P 0.107 0.040 0.304
P 5.858 2.196 2.524
Si 3.722 1.395 2.821
W 2.432 0.912 0.756
CELL_PARAMETERS angstrom
4.632 0.001 -0.003
3.491 3.044 -0.003
-0.043 -0.016 4.277
```

Total magnetic moment   0.00 μB/f.u.
Energy   -7.3126 eV per atom
Formation energy (no corrections)   -14 meV/atom
Space-group type   Cm

=====

Entry 2:
DFT (GGA-PBE) results for crystalline SiP2W at its relaxed geometry. Values from VASP.

Quantum ESPRESSO input file:
```
&SYSTEM
  ibrav = 0, nat = 4, ntyp = 3
/
ATOMIC_SPECIES
P 30.97 P.upf
Si 28.09 Si.upf
W 183.84 W.upf
ATOMIC_POSITIONS angstrom
P 1.740 -4.058 4.216
P 0.945 -2.205 2.291
Si 1.860 -1.884 -0.307
W 2.755 -3.971 1.862
CELL_PARAMETERS angstrom
-0.093 -2.212 -2.091
2.917 0.532 -0.692
1.790 -4.175 4.337
```

Total magnetic moment   0.00 μB/f.u.
Energy   -7.1653 eV per atom
Formation energy (no corrections)   134 meV/atom
Space-group type   P4/mmm

=====

Entry 3:
DFT (GGA-PBE) results for crystalline SiPW2 at its relaxed geometry. Values from VASP.

Quantum ESPRESSO input file:
```
&SYSTEM
  ibrav = 0, nat = 4, ntyp = 3
/
ATOMIC_SPECIES
P 30.97 P.upf
Si 28.09 Si.upf
W 183.84 W.upf
ATOMIC_POSITIONS angstrom
P 1.497 1.526 1.542
Si 1.497 4.578 4.627
W 0.000 3.046 0.056
W 0.000 3.053 3.031
CELL_PARAMETERS angstrom
2.994 0.000 0.000
0.000 3.048 0.002
0.000 3.056 6.166
```

Distance to the lowest polymorph of the same formula   0.293 eV per atom
Total magnetic moment   0.00 μB/f.u.
Energy   -9.1709 eV per atom
Formation energy (no corrections)   14 meV/atom
Space-group type   P2/m

=====

(1)
4
Lattice="1.918 -4.393 -2.016 -1.225 -4.587 2.123 -3.136 -3.284 -2.534" Properties=species:S:1:pos:R:3 comment="In2SiBr (PBE, optimized geometry)" mass_density_g_cm3=5.6 crystal_system=cubic polymorph_energy_mev_per_atom=251 pbc="T T T"
In -0.611 -3.066 -0.607
In -1.832 -9.198 -1.820
Si 0.000 0.000 0.000
Br -1.222 -6.132 -1.214

=====

(2)
20
Lattice="6.379 0.000 0.000 0.000 8.998 0.000 0.000 0.000 10.103" Properties=species:S:1:pos:R:3 comment="Dy3CdSn (PBE, optimized geometry)" mass_density_g_cm3=8.2 formation_energy_ev_per_atom=-0.252 crystal_system=orthorhombic pbc="T T T"
Dy 1.280 5.734 2.526
Dy 1.910 1.235 7.577
Dy 3.844 6.085 5.702
Dy 0.655 7.413 9.453
Dy 5.724 1.585 0.650
Dy 2.535 2.914 4.401
Dy 5.724 1.585 4.401
Dy 0.655 7.413 5.702
Dy 3.844 6.085 9.453
Dy 2.535 2.914 0.650
Dy 4.469 7.763 2.526
Dy 5.099 3.264 7.577
Sn 1.182 8.881 2.526
Sn 2.007 4.382 7.577
Sn 5.197 0.117 7.577
Sn 4.371 4.616 2.526
Cd 0.000 4.499 0.000
Cd 3.189 0.000 0.000
Cd 0.000 4.499 5.051
Cd 3.189 0.000 5.051

=====

(3)
10
Lattice="4.533 0.000 0.000 0.000 4.533 0.000 0.000 0.000 11.468" Properties=species:S:1:pos:R:3 comment="Sr2SmSn3Rh4 (PBE, optimized geometry)" mass_density_g_cm3=7.7 formation_energy_ev_per_atom=-0.670 crystal_system=tetragonal pbc="T T T"
Rh 0.000 0.000 0.000
Rh 2.267 2.267 0.000
Rh 2.267 0.000 7.391
Rh 0.000 2.267 4.077
Sn 0.000 2.267 1.391
Sn 2.267 0.000 10.077
Sn 0.000 0.000 5.734
Sr 2.267 0.000 2.649
Sr 0.000 2.267 8.818
Sm 2.267 2.267 5.734

=====

(4)
20
Lattice="7.087 0.429 0.723 -0.442 7.087 0.723 -1.215 -1.374 5.112" Properties=species:S:1:pos:R:3 comment="AcPaP2N6 (PBE, optimized geometry)" mass_density_g_cm3=7.4 final_energy_ev_per_atom=-8.475 crystal_system=monoclinic pbc="T T T"
N 3.919 3.217 4.228
N 1.511 2.924 2.330
N -0.640 3.440 4.485
N 2.110 1.171 4.886
N 4.100 0.473 1.930
N 5.113 5.590 3.651
N 0.318 0.552 2.907
N 4.314 5.072 6.207
N 3.320 4.971 1.672
N 1.116 1.070 0.351
N 6.071 2.701 2.072
N 1.330 5.669 4.628
Ac 4.920 0.509 4.557
Ac 0.510 5.632 2.001
P 0.483 1.787 1.761
P 4.324 6.131 2.241
P 1.107 0.011 4.317
P 4.948 4.355 4.797
Pa 3.879 2.654 2.001
Pa 1.552 3.488 4.557

=====

(5)
10
Reply.
Entry 1:
DFT (GGA-PBE) results for crystalline SiP2W at its relaxed geometry. Values from VASP.

Quantum ESPRESSO input file:
```
&SYSTEM
  ibrav = 0, nat = 4, ntyp = 3
/
ATOMIC_SPECIES
P 30.97 P.upf
Si 28.09 Si.upf
W 183.84 W.upf
ATOMIC_POSITIONS angstrom
P 0.107 0.040 0.304
P 5.858 2.196 2.524
Si 3.722 1.395 2.821
W 2.432 0.912 0.756
CELL_PARAMETERS angstrom
4.632 0.001 -0.003
3.491 3.044 -0.003
-0.043 -0.016 4.277
```

Total magnetic moment   0.00 μB/f.u.
Energy   -7.3126 eV per atom
Formation energy (no corrections)   -14 meV/atom
Space-group type   Cm

=====

Entry 2:
DFT (GGA-PBE) results for crystalline SiP2W at its relaxed geometry. Values from VASP.

Quantum ESPRESSO input file:
```
&SYSTEM
  ibrav = 0, nat = 4, ntyp = 3
/
ATOMIC_SPECIES
P 30.97 P.upf
Si 28.09 Si.upf
W 183.84 W.upf
ATOMIC_POSITIONS angstrom
P 1.740 -4.058 4.216
P 0.945 -2.205 2.291
Si 1.860 -1.884 -0.307
W 2.755 -3.971 1.862
CELL_PARAMETERS angstrom
-0.093 -2.212 -2.091
2.917 0.532 -0.692
1.790 -4.175 4.337
```

Total magnetic moment   0.00 μB/f.u.
Energy   -7.1653 eV per atom
Formation energy (no corrections)   134 meV/atom
Space-group type   P4/mmm

=====

Entry 3:
DFT (GGA-PBE) results for crystalline SiPW2 at its relaxed geometry. Values from VASP.

Quantum ESPRESSO input file:
```
&SYSTEM
  ibrav = 0, nat = 4, ntyp = 3
/
ATOMIC_SPECIES
P 30.97 P.upf
Si 28.09 Si.upf
W 183.84 W.upf
ATOMIC_POSITIONS angstrom
P 1.497 1.526 1.542
Si 1.497 4.578 4.627
W 0.000 3.046 0.056
W 0.000 3.053 3.031
CELL_PARAMETERS angstrom
2.994 0.000 0.000
0.000 3.048 0.002
0.000 3.056 6.166
```

Distance to the lowest polymorph of the same formula   0.293 eV per atom
Total magnetic moment   0.00 μB/f.u.
Energy   -9.1709 eV per atom
Formation energy (no corrections)   14 meV/atom
Space-group type   P2/m

=====

(1)
4
Lattice="1.918 -4.393 -2.016 -1.225 -4.587 2.123 -3.136 -3.284 -2.534" Properties=species:S:1:pos:R:3 comment="In2SiBr (PBE, optimized geometry)" mass_density_g_cm3=5.6 crystal_system=cubic polymorph_energy_mev_per_atom=251 pbc="T T T"
In -0.611 -3.066 -0.607
In -1.832 -9.198 -1.820
Si 0.000 0.000 0.000
Br -1.222 -6.132 -1.214

=====

(2)
20
Lattice="6.379 0.000 0.000 0.000 8.998 0.000 0.000 0.000 10.103" Properties=species:S:1:pos:R:3 comment="Dy3CdSn (PBE, optimized geometry)" mass_density_g_cm3=8.2 formation_energy_ev_per_atom=-0.252 crystal_system=orthorhombic pbc="T T T"
Dy 1.280 5.734 2.526
Dy 1.910 1.235 7.577
Dy 3.844 6.085 5.702
Dy 0.655 7.413 9.453
Dy 5.724 1.585 0.650
Dy 2.535 2.914 4.401
Dy 5.724 1.585 4.401
Dy 0.655 7.413 5.702
Dy 3.844 6.085 9.453
Dy 2.535 2.914 0.650
Dy 4.469 7.763 2.526
Dy 5.099 3.264 7.577
Sn 1.182 8.881 2.526
Sn 2.007 4.382 7.577
Sn 5.197 0.117 7.577
Sn 4.371 4.616 2.526
Cd 0.000 4.499 0.000
Cd 3.189 0.000 0.000
Cd 0.000 4.499 5.051
Cd 3.189 0.000 5.051

=====

(3)
10
Lattice="4.533 0.000 0.000 0.000 4.533 0.000 0.000 0.000 11.468" Properties=species:S:1:pos:R:3 comment="Sr2SmSn3Rh4 (PBE, optimized geometry)" mass_density_g_cm3=7.7 formation_energy_ev_per_atom=-0.670 crystal_system=tetragonal pbc="T T T"
Rh 0.000 0.000 0.000
Rh 2.267 2.267 0.000
Rh 2.267 0.000 7.391
Rh 0.000 2.267 4.077
Sn 0.000 2.267 1.391
Sn 2.267 0.000 10.077
Sn 0.000 0.000 5.734
Sr 2.267 0.000 2.649
Sr 0.000 2.267 8.818
Sm 2.267 2.267 5.734

=====

(4)
20
Lattice="7.087 0.429 0.723 -0.442 7.087 0.723 -1.215 -1.374 5.112" Properties=species:S:1:pos:R:3 comment="AcPaP2N6 (PBE, optimized geometry)" mass_density_g_cm3=7.4 final_energy_ev_per_atom=-8.475 crystal_system=monoclinic pbc="T T T"
N 3.919 3.217 4.228
N 1.511 2.924 2.330
N -0.640 3.440 4.485
N 2.110 1.171 4.886
N 4.100 0.473 1.930
N 5.113 5.590 3.651
N 0.318 0.552 2.907
N 4.314 5.072 6.207
N 3.320 4.971 1.672
N 1.116 1.070 0.351
N 6.071 2.701 2.072
N 1.330 5.669 4.628
Ac 4.920 0.509 4.557
Ac 0.510 5.632 2.001
P 0.483 1.787 1.761
P 4.324 6.131 2.241
P 1.107 0.011 4.317
P 4.948 4.355 4.797
Pa 3.879 2.654 2.001
Pa 1.552 3.488 4.557

=====

(5)
10